Jesús Rodríguez sits in the recovery area after receiving the first dose of the coronavirus vaccine at a COVID-19 vaccination site at the Corsi Houses, Friday, January 15, 2021, in the East Harlem neighborhood of New York. (AP Photo/Mary Altaffer)
Of the people I know personally who have died from COVID-19, all of them were considered members of underrepresented communities in these United States. Split on political, socio-economic and racial lines, COVID is hitting some groups in our country harder than others. A sad reality, indeed.
As data becomes more available, we are discovering that certain races and ethnicities seem to be favored victims of COVID-19. Go into any ER, COVID wing, or hospital morgue and you will see that Black and Latino populations are significantly overrepresented among the dead.
As per the CDC data most recently published in March, individuals of Hispanic descent are 1.3 times more likely to develop a Covid infection, 3.1 times more likely to be hospitalized and 2.3 times more likely to die than white, Non-Hispanic individuals.
Among the Black population, they are 1.1 times more likely to get infected, 2.9 times more likely to be hospitalized and 1.9 times more likely to die. Among the Native American population, they are 1.7 times more likely to be infected, 3.7 times more likely to be hospitalized and 2.4 times more likely to die.
So are Latinos and Blacks more vulnerable to COVID 19 infection and complications? The data seems to say so. But why is it a specific racial or ethnic vulnerability?
Inserted here: molecular data:
........
1.
The following is a quantum chemistry calculation of a 2-piece molecular cluster, C3H10N4 overall, from the OMol25 dataset.

Max |F|: 0.073 hartree/bohr
Total charge: +1
ΔE to the lowest compared entry with this formula, charge and spin: 171.7 kJ/mol
Frontier orbital gap (alpha / beta): 8.7 / 3.5 eV
Multiplicity: 2
LUMO (alpha / beta): -4.2 / -9.1 eV

Last column: Löwdin spin population.
Atoms and positions in Å:
C  0.68713  2.63864  -0.70895  0.004
N  -0.71633  2.27693  -0.53043  0.025
C  -0.97253  1.72205  0.70577  0.001
N  -1.66317  0.62713  0.88947  0.041
H  0.77699  3.15534  -1.65968  0.000
H  1.05690  3.27113  0.09993  0.000
H  1.35267  1.77591  -0.70948  0.002
H  -1.08197  1.72294  -1.29079  0.001
H  -0.56697  2.30649  1.54515  0.000
H  -1.85696  0.64888  1.90674  0.001
N  1.63189  -3.28419  -0.03547  0.408
C  0.42530  -2.53912  0.15261  0.045
N  0.17823  -1.50975  -0.57530  0.444
H  2.01586  -3.63685  0.82902  0.009
H  2.33236  -2.88936  -0.65517  0.006
H  -0.25529  -2.98265  0.90071  0.000
H  -0.62732  -1.07209  -0.10091  0.012

***

2.
The following is a quantum chemistry calculation of C8H12Cl2N2O3STlY as an isolated structure, from the OMol25 dataset.

Max |F|: 0.247 hartree/bohr
Total charge: +4
ΔE to the lowest compared entry with this formula, charge and spin: 6.6 kJ/mol
Frontier orbital gap: 2.6 eV
Multiplicity: 1
LUMO: -16.1 eV

Last column: Mulliken charge in e.
Atoms and positions in Å:
Tl  0.10482  0.71569  -8.84935  1.309
Y  0.07652  0.09938  -1.42471  1.366
Cl  -0.62037  2.93451  -8.17943  -0.064
Cl  2.09605  -1.34837  -1.57957  -0.305
C  -0.72832  -1.51566  -0.04062  0.080
C  -0.47745  1.31765  -10.99438  0.096
C  0.55825  -1.04438  -9.64734  0.551
O  -1.11231  -2.29739  0.73189  0.035
O  -0.77353  1.57662  -12.03694  0.107
O  0.80830  -2.09164  -10.12808  0.001
C  2.45769  -0.08555  2.06750  -0.752
N  1.23980  -0.00529  2.93670  0.101
C  1.47677  -0.38585  4.32530  -1.214
C  0.05827  0.46862  2.46594  0.457
S  0.13379  1.36842  0.89268  -0.243
N  -1.17314  0.28591  3.00607  0.141
C  -1.51524  0.03090  4.40541  -1.120
C  -2.42787  0.45766  2.17677  -0.976
H  3.32903  -0.45417  2.63638  0.319
H  2.74125  0.88776  1.64970  0.363
H  2.29492  -0.79628  1.24913  0.243
H  1.31026  0.46326  4.99585  0.404
H  0.85511  -1.24576  4.58059  0.443
H  2.51578  -0.69828  4.49533  0.403
H  -2.23786  0.77842  4.76901  0.410
H  -2.00702  -0.94848  4.48728  0.423
H  -0.66620  0.06571  5.07628  0.363
H  -2.50980  1.45712  1.73421  0.428
H  -2.48344  -0.30053  1.39084  0.259
H  -3.32406  0.31001  2.80756  0.371

***

3.
The following is a quantum chemistry calculation of a 10-piece molecular cluster, C34H59F6N8O10P overall, from the OMol25 dataset.

Max |F|: 0.111 hartree/bohr
Total charge: -3
Frontier orbital gap (alpha / beta): 3.4 / 5.6 eV
Multiplicity: 2
LUMO (alpha / beta): 4.7 / 4.7 eV

Last column: Löwdin spin population.
Atoms and positions in Å:
C  2.80950  -5.67371  2.93198  0.001
C  2.57654  -4.16092  2.74972  0.001
........
The culprit is something more insidious. It is the reality that certain communities are at risk simply due to their socioeconomic status. Essentially, groups of people who do not have the luxury of social distancing because they need to work and cohabitate in close quarters in order to earn their living. The most essential of our workers, those who handle and process our food and who are the backbone of our economy, are at the greatest risk. Why? Because they are also are most marginalized citizens.
It has been known for millennia that the most vulnerable individuals during epidemics and pandemics are the poor. The groups of people with social circumstances that lead to unhealthy lifestyle habits and limited or no access to health services always bear the brunt of health-related emergencies. Many Latino communities fall under this reality as do many Black and Asian populations.
Socially, our Latino and Black populations are more vulnerable to a multitude of health issues, including overcrowded living situations, limited access to health services, poor quality food, high incidence of diabetes and hypertension, excessive drinking and smoking, working long hours, limited sleep, high stress, and other circumstances resulting from psychosocial neglect.
Adding to this is the uncertainty of a neglectful political environment that tends to marginalize and criminalize undocumented workers and low-income earners. The likelihood of these people obtaining preventive or early illness medical services is severely limited. This puts these populations at a much higher risk of contracting a disease such as COVID-19.
Undocumented workers, in particular, suffer from many of the social ills of poverty. Since many of them are here to support their families in other countries with significantly worse living conditions than here, they often become victims of unscrupulous business owners. They become easy prey to those who wish to save money on production costs and labor.
These hard-working individuals are often seen as “perfect slaves.” They work hard for significantly less money and are easily replaceable. They are forced to also live and work in a nether world of uncertainty, stuck between an employer’s desires and the threat of the authorities coming to take them away. When no longer needed, they are easily discarded, victims of this form of work exploitation. They receive no severance, no services, no support. Thus, they are particularly vulnerable.
However, during this pandemic, they are, in reality, the most essential of all workers. Why has toilet paper gone from supermarket shelves and your food products haven’t? Because these workers are still in the fields, processing plants, and factories—working while many of us are sheltering at home. Once again exploited for their expendability, they work to keep our economy moving and to keep us fed.
A sad reality is that “imported” workers have served as de-facto indentured servants and slaves in this country since its founding. It is the cheap labor that can be found in other less developed countries masked in order to make us look better while still being competitive in the marketplace. Essentially, traditional colonial slavery has been replaced by illegal immigration and undocumented workers.
This leads to an institutionalized form of exploitation that oppresses many while providing inexpensive goods for the rest of us. The abuse of these hard-working individuals who are simply trying to support and protect their families is tragic.
It is a worldwide phenomenon. It is a more accepted method of slavery, if you will. We use them, abuse them, and discard them when no longer needed.
The pandemic has made evident that the health of ALL individuals translates into better health for all of us. Therefore, neglecting this population is done at our own risk. It is not just the work environment that is a hazard. Overcrowded living conditions and lack of regular health services make these people vulnerable to sicknesses and infections such as COVID 19. Yes, one must wash our hands, not touch one’s face, wear a mask, maintain a healthy distance, stay home and wait. But how is that possible with multiple people in a one-bedroom apartment, with one bathroom, and limited private space?
About 20% of Latinos are not in the U.S. legally. Due to this, they cannot receive public assistance or unemployment benefits. Some states have allocated resources to help this population during the pandemic. However, states like California are the exception and not the rule.
In the U.S., we eventually do the right thing. However, it is often done for the wrong reasons. The U.S. economy cannot function without these “perfect slaves.” Many Latinos, mainly poor and undocumented, will die during the pandemic in support of this country, our populace and the economy.
Their sacrifices should not be forgotten. However, they more than likely will be as the nation conquers the virus and accompanying disease. When things return to “normal,” we will once again turn a blind eye to these essential workers. They will go back to the farms and meatpacking plants, will continue to be used, abused and discarded. Few will ask, “Why did this happen to our poor people?” and we will return to our life of comfort and plenty.
The answer for our society will not come from a vaccine or medication. It is not about ventilators or PPE. The answer will come from a better understanding of poverty as a driver of social ills that, in the end, affect us all. If the most vulnerable in our society, on whom we very much rely, continue to be the worst hit, then we are all vulnerable.
In the long run, a decrease in poverty and accompanying implementation of preventive health services, nutrition counseling and the elimination of virtual slavery via a functional wage as well as decreasing homelessness will be the best antidote against any pandemic—present or future.
We can do the right thing, even if we do it for selfish reasons. The virus is a circumstance that forces us to see our vulnerabilities (excessive poverty, overcrowding, lack of health services and health habits) that will kill many many in the most vulnerable communities. Allowing these populations to suffer greatly increases the risk to us all.
COVID-19 is contractable by all human beings regardless of race.
The current and future pandemics, pose an existential threat to all of us. It would behoove us to support those who keep our lives and economy going at great personal risk to themselves. We are in this together, as a species, not just as disparate groups with differing skin tones.
I challenge all to stop asking, “Why?” and to start asking how each of us can help. When COVID-19 leaves us, let us not lose the lesson in humanity, cooperation and shared risk. Let us do all that we can so that a second, third or even tenth pandemic may pass with less disruption and death. Let this experience bring us together as a nation, a people and as a species.
Dr. Lauro Amezcua-Patino is the clinical voice of The Only You (Solo Tú), a podcast dedicated to simplifying the complex issues of the mind and mental illness. Originally from Mexico, Dr. Amezcua-Patino has been practicing in the metropolitan Phoenix area for over 30 years. Twitter: @SuSaludMental.
[…] This content was originally published here. […]